Count Hugo Franz von Hatzfeld (1755–1830) was the brother-in-law of Countess Maria Anna Hortensia von Hatzfeld, who sang Elettra in the production of Mozart’s Idomeneo in the theater of Prince Auersperg in the Josephstadt suburb of Vienna in 1786. He was also the next younger brother of Count August Clemens von Hatzfeld, for whom Mozart composed the solo violin part in the scena con rondò “Non temer, amato bene,” K. 490, for that same production (see our entries on Auersperg’s Idomeneo and Countess Hatzfeld). Count Hugo’s letter is a response to a query from Gustav Friedrich Wilhelm Großmann (1746–1796), principal of one of the most prominent German theater companies of the time. In 1786 Großmann’s theatrical company was alternating between Frankfurt and Mainz, and it had just ended a week of performances in Mainz on 28 Feb before taking a break for the remainder of Lent (Wolter 1901, Beilage 2, xxvii). Hugo von Hatzfeld lived in Mainz, so Großmann might have made his query in person or in writing.
Next to the article, the page also holds molecular data:
+++
92
Properties=species:S:1:pos:R:3:forces:R:3 method="wB97M-V/def2-TZVPD" relative_energy_kcal_mol=21.34 total_charge=-2 orbital_gap_ev="6.776 / 6.275" spin_multiplicity=2 homo_energy_ev="-3.62 / -3.62" total_energy_ev=-81037.4195 lumo_energy_ev="3.2 / 2.7"
Cs -1.097625 -0.319760 -0.204484 0.253 -0.631 1.061
C 3.804906 -1.385282 1.105796 -0.076 0.061 -0.109
C 2.935177 -1.243431 0.003787 0.012 -0.024 -0.025
N 1.871183 -2.027609 0.117606 0.279 0.138 0.284
N 2.033813 -2.685387 1.289146 -0.237 -0.058 -0.017
C 3.176025 -2.314249 1.904989 -0.120 -0.077 -0.090
B 0.894423 -3.592638 1.820401 0.118 0.164 0.096
N -0.151169 -2.753997 2.592789 -0.025 -0.028 -0.114
C -1.460038 -3.041880 2.799084 0.127 -0.006 -0.092
C -2.023059 -2.015796 3.517395 0.059 0.032 0.019
C -0.950886 -1.130455 3.728926 0.084 0.134 -0.023
N 0.175389 -1.577575 3.185383 -0.208 -0.024 -0.117
N 0.203103 -4.287165 0.626249 -0.067 -0.004 0.216
C 0.635615 -5.343613 -0.105342 -0.033 0.258 0.139
C -0.203842 -5.478333 -1.185606 -0.144 0.009 -0.025
C -1.142407 -4.437931 -1.024696 0.122 -0.013 -0.066
N -0.890158 -3.716688 0.054619 0.275 -0.280 -0.146
N 1.528609 -4.580071 2.853499 -0.186 0.014 -0.096
C 1.451871 -4.438338 4.197132 0.018 -0.037 -0.144
C 2.235921 -5.414541 4.769729 0.073 -0.118 -0.072
C 2.757818 -6.118113 3.665629 0.057 -0.058 0.036
N 2.336215 -5.612351 2.515679 -0.122 0.272 0.229
H 4.742958 -0.883873 1.290606 -0.067 -0.028 -0.024
H 3.037579 -0.608773 -0.867963 0.003 -0.056 0.075
H 3.456690 -2.738609 2.858234 -0.040 0.016 -0.089
H -1.902263 -3.926776 2.372203 0.036 0.049 0.024
H -3.058133 -1.875509 3.781418 0.073 0.022 -0.004
H -0.974774 -0.161889 4.210719 -0.029 -0.098 -0.002
H 1.506081 -5.901854 0.201342 -0.055 0.060 0.020
H -0.146512 -6.211389 -1.974284 -0.018 0.035 0.039
H -1.976039 -4.173132 -1.658894 0.026 -0.019 0.004
H 0.859053 -3.650815 4.639063 0.054 -0.086 -0.062
H 2.398636 -5.594245 5.820660 -0.001 0.000 -0.063
H 3.421953 -6.972094 3.657920 -0.041 0.049 0.016
N -1.304094 2.398581 1.562040 -0.197 -0.008 -0.214
C -2.740657 2.539305 1.274759 0.201 0.133 0.002
C -3.364529 3.818912 1.845557 -0.032 -0.164 0.195
C -2.923808 5.148602 1.252895 0.119 0.008 0.093
C -3.447891 5.372434 -0.149078 -0.040 0.056 -0.137
N -2.726046 4.616410 -1.154830 0.046 0.063 -0.036
C -3.254036 4.179248 -2.333408 -0.227 -0.282 0.119
N -2.604380 3.845014 -3.389686 0.283 0.088 -0.114
N -4.638683 4.086960 -2.336733 -0.042 0.060 -0.157
C -3.447211 1.321574 1.930578 -0.185 -0.290 0.080
O -3.271988 1.234587 3.172564 -0.098 -0.064 -0.437
O -4.096814 0.573265 1.155183 0.317 0.309 0.419
H -1.194264 2.226148 2.555759 -0.039 -0.037 0.037
H -0.739231 3.197240 1.298563 -0.065 0.048 0.005
H -2.901696 2.479210 0.193830 0.083 -0.032 0.129
H -3.148297 3.796876 2.915424 -0.056 0.014 0.061
H -4.457352 3.756493 1.744874 0.056 -0.052 0.032
H -1.831300 5.273212 1.292172 -0.094 -0.051 -0.068
H -3.336516 5.956963 1.863064 0.062 0.018 0.086
H -3.440699 6.439219 -0.393306 0.049 0.108 -0.064
+++
If Großmann’s query was written, it is not known to survive, but Count Hugo’s reply indicates that Großmann was relaying a request from Christian Gottlob Neefe in Bonn, who had evidently heard about a serious opera by Mozart. Großmann and Neefe had known each other for ten years by that point; they had become acquainted in 1776 when both were members of the theater company of Abel Seyler, in which Großmann acted and Neefe was music director.


Theater=Kalender, auf das Jahr 1777, 237–39
Großmann left Seyler in 1778 to become co-director (with Karl Hellmuth) of the court theater in Bonn under Maximilian Friedrich, the Elector of Cologne (on Neefe and Großmann, see principally Leux 1925, Rüppel 2010). When Seyler’s company collapsed financially in 1779, Neefe asked Großmann for a job, and became music director of the theater in Bonn, where he was also named court organist in 1782. When the Elector died in 1784 and his successor Maximilian Franz (youngest brother of Emperor Joseph II) initially closed the court theater to cut costs, Großmann left Bonn to establish his own traveling company, while Neefe remained. But Neefe and Großmann kept in frequent touch; in fact, 45 of Neefe’s letters to Großmann survive in the library of the University of Leipzig in the Autographensammlung Kestner, the same collection that includes Hugo von Hatzfeld’s letter to Großmann. Großmann and Neefe had collaborated in the past in creating the operas Was vermag ein Mädchen nicht (1778) and Adelheit von Veltheim (1780), and they continued to work together after Großmann left Bonn. Hugo von Hatzfeld might well have known both of them: Hugo’s father Count Carl Ferdinand had been a court official in Bonn and Hugo was born there in 1755.
Neefe seems to have written to Großmann about Mozart’s serious opera with the idea that Großmann could ask Count Hugo about it, which in turn implies that Neefe had reason to think that Count Hugo knew about the opera. In his response, Hugo shows that he does; he writes that he assumes Großmann (who had not specified a title) means Idomeneo. The date of Hugo’s letter is 23 Mar 1786, just ten days after the documented performance of Idomeneo in Vienna.
Neefe in Bonn might have learned about Mozart’s Idomeneo directly or indirectly from Countess Hatzfeld, whose husband (Hugo’s elder half brother) was a court official in Bonn; she almost certainly would have had at least Elettra’s portions of the opera with her in some form in Bonn at some point in order to learn the role. However, Neefe’s query to Großmann implies that he did not have access to a complete score of the opera through her, and that he thought Count Hugo might have one or know someone who had one.
Hugo’s reply to Großmann seems to refer to a particular physical score: he writes that “the score” (“Die partitur”) of Idomeneo is in the hands of his brother August who has just taken it to Vienna along with the rest of his music—he means August Clemens, the violinist, rather than their half brother Clemens August Johann Nepomuk, the Countess’s husband. Although August Clemens was a canon of the cathedral in Eichstätt, a considerable distance from Mainz, he seems to have spent as much time in Mainz as possible, probably because of the superior musical life there and because of family connections; by the 1780s, three of his brothers lived in Mainz: Hugo Franz, Franz Ludwig (1756–1827), and Maximilian (1764–1824), all of whom had strong musical interests (on the brothers, see the section on August Clemens in our entry on Auersperg’s Idomeneo). Their elder half sister Sophia von Coudenhoven, née von Hatzfeld, was a member of the inner circle of her cousin, the Elector of Mainz, Prince Friedrich Karl Joseph von Erthal, and an important figure in theatrical and musical life at court and in the city (on Sophia, see the Notes to our entry on “Tutte nel cor vi sento” in Bonn). August Clemens became so closely associated with Mainz that Gerber wrote in the first edition of his Lexikon:
Hatzfeld (August Graf von) Domherr
zu Eichstädt, war einer der stärksten
Dilettantin auf der Violine, und hielt
sich meistens am Churfürstl. Mainzi=
schen Hofe auf [...]
[Gerber 1790, col. 604]
Hatzfeld (August Count von) Canon
in Eichstätt, was one of the strongest
dilettantes on the violin, and resided
mainly at the Electoral court in Mainz [...]
August Clemens might have acquired or borrowed a complete full score of Idomeneo purely out of interest in Mozart’s music; but in our entry on Auersperg’s Idomeneo, we examine the possibility that he might have directed the orchestra for that production, in addition to playing the solo in K. 490. If so, he would have had good reason to have a complete score in order to learn the opera.
Hugo suggests that Großmann contact Nikolaus Simrock, a hornist in the court orchestra in Bonn who had recently established a music dealership there. Hugo writes that he knows for certain that Count Nesselrode in Düsseldorf has a score of Idomeneo, that Simrock is in contact with Nesselrode, and that Simrock will consequently have little trouble acquiring a copy of the score for Großmann. Count Karl Franz Nesselrode (1713–1798) was, as it happens, married to Hugo’s younger sister, Josepha Franziska (for their marriage, see her entry among the siblings of Count Clemens Johann Nepomuk von Hatzfeld in this genealogy); so there was a direct family connection between Hugo and Nesselrode.
The score of Idomeneo that Hugo is referring to is almost certainly the so-called “Nesselrode score,” today in the music collection of the Austrian National Library (Mus. Hs. 4709). The Nesselrode score is said to be such an accurate reproduction of Mozart’s autograph that Daniel Heartz, editor of the opera for the Neue Mozart-Ausgabe, was able to use it as a surrogate for acts I and II of the autograph, which were still missing when Heartz edited the opera (Heartz 1972, here esp. xxiiii; see also the description of the score in Brown 2005, source C, 57–59). The Nesselrode score has not previously been dated, but Hugo von Hatzfeld’s letter shows that it was in existence by Mar 1786. One wonders whether it might have been produced by copyists in Simrock’s shop in Bonn; as it happens, the first edition of Idomeneo in full score was issued by Simrock in 1805, suggesting that he may have kept a reference copy in the interim. In any case, it is evident from the staff ruling and copyists that the Nesselrode score was not copied in Vienna.



The “Nesselrode” score of Idomeneo
ÖNB, Musiksammlung, Mus. Hs. 4709
(Photos: Michael Lorenz)
But it seems that one of the Hatzfeld brothers already had scores of several numbers from Idomeneo by 1783. Robert Münster has written about a letter to Count Maximilian Clemens von Seinsheim in Munich dated 5 Nov 1783, signed simply “Hatzfeld,” with no first name. The writer asks Seinsheim to procure for him all of the sections of the score of Idomeneo that the writer does not already have (Münster 2001, 92); he writes that he already has the overture; “Padre, germani, addio” (no. 1, Ilia) and its recitative; “Tutte nel cor vi sento” (no. 4, Elettra) and its preceding accompanied recitative; “Idol mio, se ritroso” (no. 13, Elettra) and its recitative; and “Se colà ne’ fati è scritto” (no. 22, Arbace) and its recitative. Münster argues persuasively that the writer was Count Franz Ludwig von Hatzfeld, next younger brother of Hugo Franz and August Clemens (Münster 2001, 93–94). It is noteworthy that already by 1783, the writer (whichever Hatzfeld it may have been) already had both of Elettra’s arias: for their sister-in-law Countess Maria Anna Hortensia von Hatzfeld not only sang Elettra in Auersperg’s production of the opera in 1786, she also sang “Tutte nel cor vi sento” at a concert in Bonn at some point in the second half of the 1780s, making a profound impression on young Anton Reicha and Ludwig van Beethoven (see our entry on “Tutte nel cor vi sento” in Bonn).
For their part, Neefe and Großmann may have wanted to investigate whether Idomeneo would be suitable for adaptation into a German version for use by Großmann’s company. By 1786, Großmann and Neefe were well acquainted with Mozart’s Die Entführung aus dem Serail: they had given the Bonn premiere of the opera in 1783 (see our entry for 22 Jun 1783) and Großmann’s company had performed Entführung at least 10 times by the end of 1785, mostly in Frankfurt and Mainz. Großmann’s success with Entführung would likely have made him keen to learn of other operas by Mozart. But no other operas by Mozart were in circulation at that time: Figaro was not yet completed and remained a rumor; and in the 1780s, La finta giardiniera, adapted as a singspiel, had been given just a few times by the company of Johann Böhm, who seems not to have let the score out of his hands (see our entries for 1 May 1780 and 2 Apr 1782).
As far as we know, Großmann did not end up acquiring a score of Idomeneo, and his company is not known to have performed it. But his query to Hugo von Hatzfeld suggests that Großmann’s success with Mozart’s Die Entführung aus dem Serail had prompted both Großmann and Neefe to keep an eye out for other operas by that promising young composer. This in turn suggests that Entführung was proving effective in establishing Mozart’s reputation in German-speaking lands as a young opera composer to watch.
Hugo von Hatzfeld was himself a good amateur tenor and even composed a little. In 1792, in an installment of a series on corrections and additions to Gerber’s Historisch-Biographisches Lexicon der Tonkünstler, Johann Friedrich Reichardt proposes a new entry on Hugo to follow Gerber’s entry for August Clemens von Hatzfeld:
Hatzfeld (Hugo Graf v.) jetziger Mainzi-
scher Gesandter in Berlin, und Bruder des vo-
rigen, der wegen seiner schönen Tenorstimme
und seines angenehmen geschmackvollen Vor-
trages als ein vorzüglicher Musikdilettant ge-
nannt zu werden verdient.
[Musikalische Monathsschrift 4, Oct 1792, 93]
Hatzfeld (Hugo, Count von) currently
Mainz ambassador in Berlin and brother of
the foregoing, merits mention as an excellent
musical dilettante, on account of his beautiful
tenor voice and his pleasant and tasteful
Reichardt later writes of meeting Count Hugo again in Dresden in 1808:
Sechster Brief.
Dresden, den 15. Nov. [1808]
Sehr erwünscht war es mir auch in dem
fürstlich primatischen Gesandten, dem Grafen
Hugo von Hatzfeld, einen alten Bekannten
und Kunstverwandten wieder zu finden, mit dem
ich mich auf Reisen schon so verschiedentlich
traf, und in Berlin so oft die Annehmlichkeit
der Gesellschaft und der musikalischen Unter=
haltung genoß, die nur echte Bildung und
feiner Geschmack in der Kunst gewähren kann.
Mehrere seiner ausdrucksvollen Liederkomposi=
tionen gehören schon längst zu meinen Lieb=
lingsliedern; besonders gern hörte ich immer
von seiner angenehmen Tenorstimme und sei=
nem schönen rührenden Vortrage den Klag=
gesang der Maria Stuart. Jetzt lernte
ich auch eine neue gestochene Liedersammlung
von ihm kennen, die ganz allerliebste Melo=
dieen enthält.
[Reichardt 1810, 71, 79–80]
Sixth Letter.
Dresden, 15 Nov [1808]
It was also very gratifying to find again an
old acquaintance and artistic kinsman, Count
Hugo von Hatzfeld (ambassador of the Prince
Primate), whom I met already so frequently on my
travels, and whose pleasant company and musical
conversation (of the sort that only true culture and
taste can bring) I so often enjoyed in Berlin. Several
of his expressive song compositions have long
been among my favorites; I am especially happy
to hear the Klaggesang der Maria Stuart sung by
his pleasant tenor voice with his beautiful and
moving delivery. Now I also learned of a newly
engraved song collection by him that contains the
loveliest melodies.
The newly engraved collection of songs is probably Hugo von Hatzfeld’s Six romances avec accompagnement de piano-forte (RISM A/I, HH 2349 I,1), published by Rudolph Werckmeister in Berlin around 1807. We have not yet been able to see a copy of this set, but according to Gottron (1959, 199), it contains a “Complainte de la Reine Maria Stuart,” which would be the “Klaggesang” that Reichardt refers to. Count Hugo also published a work for SATB and piano entitled Die Rheinfahrt, on a text by David Gottlieb Niemeyer (2nd ed, RISM A/I, HH 2349 I, 2). A copy of Die Rheinfahrt survives in the library of the Sing-Akademie zu Berlin with Hatzfeld’s autograph dedication to Carl Friedrich Zelter (D-Bsa, SA 900).
We are grateful to Bruce Brown and Steven Whiting for their comments on drafts of this entry and their responses to various queries; and to Michael Lorenz for his photographs of the examples from the “Nesselrode” score.